File:
┌──
# 1
# Y2Zr4Au3C3 (PBE, optimized geometry)
data_Y2Zr4Au3C3
_chemical_formula_sum 'Y4 Zr8 Au6 C6'
_space_group_name_H-M_alt 'P 1'
_space_group_IT_number 1
_space_group_name_Hall 'P 1'
_cell_length_a 5.8865
_cell_length_b 5.8865
_cell_length_c 14.9874
_cell_angle_alpha 101.81
_cell_angle_beta 101.81
_cell_angle_gamma 60.00
loop_
_atom_site_label
_atom_site_fract_x
_atom_site_fract_y
_atom_site_fract_z
Au1 0.8964 0.5862 0.2496
Au2 0.9313 0.0687 0.2500
Au3 0.4138 0.1036 0.2504
Au4 0.5862 0.8964 0.7496
Au5 0.0687 0.9313 0.7500
Au6 0.1036 0.4138 0.7504
C1 0.0000 0.5000 0.0000
C2 0.6728 0.1546 0.0003
C3 0.8454 0.3272 0.4997
C4 0.5000 0.0000 0.5000
C5 0.1546 0.6728 0.5003
C6 0.3272 0.8454 0.9997
Y1 0.3752 0.5388 0.1102
Y2 0.4612 0.6248 0.3898
Y3 0.5388 0.3752 0.6102
Y4 0.6248 0.4612 0.8898
Zr1 0.0196 0.2025 0.0817
Zr2 0.6929 0.8539 0.0818
Zr3 0.1461 0.3071 0.4182
Zr4 0.7975 0.9804 0.4183
Zr5 0.2025 0.0196 0.5817
Zr6 0.8539 0.6929 0.5818
Zr7 0.3071 0.1461 0.9182
Zr8 0.9804 0.7975 0.9183
# total energy	-184.83	eV for the cell shown
# calculated volume	437	Å³ per cell

=====

# 2
# Y4Zr2Au3C3 (PBE, optimized geometry)
data_Y4Zr2Au3C3
_chemical_formula_sum 'Y8 Zr4 Au6 C6'
_space_group_name_H-M_alt 'P 1'
_space_group_IT_number 1
_space_group_name_Hall 'P 1'
_cell_length_a 6.2010
_cell_length_b 6.2010
_cell_length_c 14.5099
_cell_angle_alpha 102.07
_cell_angle_beta 102.07
_cell_angle_gamma 60.07
loop_
_atom_site_label
_atom_site_fract_x
_atom_site_fract_y
_atom_site_fract_z
Au1 0.5838 0.6999 0.2498
Au2 0.8642 0.1358 0.2500
Au3 0.3001 0.4162 0.2502
Au4 0.6999 0.5838 0.7498
Au5 0.1358 0.8642 0.7500
Au6 0.4162 0.3001 0.7502
C1 0.5000 0.0000 0.0000
C2 0.1953 0.6526 0.0003
C3 0.3474 0.8047 0.4997
C4 0.0000 0.5000 0.5000
C5 0.6526 0.1953 0.5003
C6 0.8047 0.3474 0.9997
Y1 0.8751 0.7000 0.1018
Y2 0.1906 0.0420 0.1019
Y3 0.9580 0.8094 0.3981
Y4 0.3000 0.1249 0.3982
Y5 0.7000 0.8751 0.6018
Y6 0.0420 0.1906 0.6019
Y7 0.8094 0.9580 0.8981
Y8 0.1249 0.3000 0.8982
Zr1 0.5265 0.3488 0.0802
Zr2 0.6512 0.4735 0.4198
Zr3 0.3488 0.5265 0.5802
Zr4 0.4735 0.6512 0.9198
# total energy	-174.74	eV for the cell shown
# calculated volume	469	Å³ per cell

=====

# 3
# Zr4ZnAuC2 (PBE, optimized geometry)
data_Zr4ZnAuC2
_chemical_formula_sum 'Zr4 Zn1 Au1 C2'
_space_group_name_H-M_alt 'P 1'
_space_group_IT_number 1
_space_group_name_Hall 'P 1'
_cell_length_a 3.3310
_cell_length_b 3.3310
_cell_length_c 14.3193
_cell_angle_alpha 90.00
_cell_angle_beta 90.00
_cell_angle_gamma 120.00
loop_
_atom_site_label
_atom_site_fract_x
_atom_site_fract_y
_atom_site_fract_z
Au1 0.0000 0.0000 0.0000
C1 0.3333 0.6667 0.2504
C2 0.3333 0.6667 0.7496
Zn1 0.6667 0.3333 0.5000
Zr1 0.6667 0.3333 0.1596
Zr2 0.0000 0.0000 0.3391
Zr3 0.0000 0.0000 0.6609
Zr4 0.6667 0.3333 0.8404
# total energy	-61.79	eV for the cell shown
# calculated volume	138	Å³ per cell

=====

# 4
# Zr3AuC (PBE, optimized geometry)
data_Zr3AuC
_chemical_formula_sum 'Zr6 Au2 C2'
_space_group_name_H-M_alt 'P 1'
_space_group_IT_number 1
_space_group_name_Hall 'P 1'
_cell_length_a 6.1364
_cell_length_b 6.1364
_cell_length_c 9.1419
_cell_angle_alpha 90.00
_cell_angle_beta 90.00
_cell_angle_gamma 147.84
loop_
_atom_site_label
_atom_site_fract_x
_atom_site_fract_y
_atom_site_fract_z
Au1 0.7482 0.2518 0.2500
Au2 0.2518 0.7482 0.7500
C1 0.0000 0.0000 0.0000
C2 0.0000 0.0000 0.5000
Zr1 0.3739 0.6261 0.0509
Zr2 0.0487 0.9513 0.2500
Zr3 0.3739 0.6261 0.4491
Zr4 0.6261 0.3739 0.5509
Zr5 0.9513 0.0487 0.7500
Zr6 0.6261 0.3739 0.9491
# total energy	-82.75	eV for the cell shown
# calculated volume	183	Å³ per cell

=====

# 5
# Zr4AuC3 (PBE, optimized geometry)
data_Zr4AuC3
_chemical_formula_sum 'Zr8 Au2 C6'
_space_group_name_H-M_alt 'P 1'
_space_group_IT_number 1
_space_group_name_Hall 'P 1'
_cell_length_a 3.3642
_cell_length_b 3.3642
_cell_length_c 24.7766
_cell_angle_alpha 90.00
_cell_angle_beta 90.00
_cell_angle_gamma 120.00
loop_
_atom_site_label
_atom_site_fract_x
_atom_site_fract_y
_atom_site_fract_z
Au1 0.3333 0.6667 0.2500
└──

Work order:
Your job: print the lines earlier on up to the one that holds "0.5838 0.7498", that line included.

Worked solution:
# 1
# Y2Zr4Au3C3 (PBE, optimized geometry)
data_Y2Zr4Au3C3
_chemical_formula_sum 'Y4 Zr8 Au6 C6'
_space_group_name_H-M_alt 'P 1'
_space_group_IT_number 1
_space_group_name_Hall 'P 1'
_cell_length_a 5.8865
_cell_length_b 5.8865
_cell_length_c 14.9874
_cell_angle_alpha 101.81
_cell_angle_beta 101.81
_cell_angle_gamma 60.00
loop_
_atom_site_label
_atom_site_fract_x
_atom_site_fract_y
_atom_site_fract_z
Au1 0.8964 0.5862 0.2496
Au2 0.9313 0.0687 0.2500
Au3 0.4138 0.1036 0.2504
Au4 0.5862 0.8964 0.7496
Au5 0.0687 0.9313 0.7500
Au6 0.1036 0.4138 0.7504
C1 0.0000 0.5000 0.0000
C2 0.6728 0.1546 0.0003
C3 0.8454 0.3272 0.4997
C4 0.5000 0.0000 0.5000
C5 0.1546 0.6728 0.5003
C6 0.3272 0.8454 0.9997
Y1 0.3752 0.5388 0.1102
Y2 0.4612 0.6248 0.3898
Y3 0.5388 0.3752 0.6102
Y4 0.6248 0.4612 0.8898
Zr1 0.0196 0.2025 0.0817
Zr2 0.6929 0.8539 0.0818
Zr3 0.1461 0.3071 0.4182
Zr4 0.7975 0.9804 0.4183
Zr5 0.2025 0.0196 0.5817
Zr6 0.8539 0.6929 0.5818
Zr7 0.3071 0.1461 0.9182
Zr8 0.9804 0.7975 0.9183
# total energy	-184.83	eV for the cell shown
# calculated volume	437	Å³ per cell

=====

# 2
# Y4Zr2Au3C3 (PBE, optimized geometry)
data_Y4Zr2Au3C3
_chemical_formula_sum 'Y8 Zr4 Au6 C6'
_space_group_name_H-M_alt 'P 1'
_space_group_IT_number 1
_space_group_name_Hall 'P 1'
_cell_length_a 6.2010
_cell_length_b 6.2010
_cell_length_c 14.5099
_cell_angle_alpha 102.07
_cell_angle_beta 102.07
_cell_angle_gamma 60.07
loop_
_atom_site_label
_atom_site_fract_x
_atom_site_fract_y
_atom_site_fract_z
Au1 0.5838 0.6999 0.2498
Au2 0.8642 0.1358 0.2500
Au3 0.3001 0.4162 0.2502
Au4 0.6999 0.5838 0.7498